Wage-hour issues to consider during the holidays
By Bruce M. Cross, [email protected]
In the holiday rush, it's easy to overlook wage-hour issues. This article discusses common ones to which retailers should be alerted, including: temporary workers and independent contractors; unpaid interns and trainees; “off-the-clock” work, meal and rest breaks; seating requirements; cost of uniforms; workplace safety; and overtime exemptions.
Temporary workers
Many employers obtain temporary workers from staffing agencies. That's perfectly okay, so long as the agency is properly compensating them, paying payroll taxes and withholding FICA and federal income taxes from their wages. If the agency does not do that, the receiving employer may be held responsible. The same is true for overtime compensation because the receiving employer is likely a "joint employer" with the staffing agency. Therefore retailers should review the agreements they have with staffing agencies and be sure that the agencies are handling payroll matters properly.
## Materials data, as found in the file
~~~
The following is a GGA-PBE calculation of a relaxed structure of FePd2Pt, from the Alexandria database.

Spin magnetization ... 16.2 Bohr magnetons per cell
ΔE_f ... -0.042 eV/atom

a = 6.215 Å, b = 6.215 Å, c = 6.215 Å
α = 90.00°, β = 90.00°, γ = 90.00°
Positions (direct):
Fe 0.000 0.000 0.000
Fe 0.000 0.500 0.500
Fe 0.500 0.000 0.500
Fe 0.500 0.500 0.000
Pd 0.000 0.000 0.500
Pd 0.000 0.500 0.000
Pd 0.250 0.250 0.250
Pd 0.250 0.750 0.750
Pd 0.500 0.000 0.000
Pd 0.500 0.500 0.500
Pd 0.750 0.250 0.750
Pd 0.750 0.750 0.250
Pt 0.250 0.250 0.750
Pt 0.250 0.750 0.250
Pt 0.750 0.250 0.250
~~~
## The materials data stop here
Employers using agency workers should also check the language of their benefit plans to be sure that agency workers are not covered. Even if the employer does not regard agency workers to be employees, if the eligibility language of the formal plan documents is not precise, the workers may legally be entitled to those benefits.
Independent contractors
Just calling a worker an "independent contractor" does not make it so. Many so-called independent contractors are really employees, entitled to protection under a variety of employment laws, such as minimum wage and overtime compensation laws, nondiscrimination laws and labor laws — not to mention payroll taxes and withholding.
Although the legal definitions for independent contractors vary from one law to another, the basic idea is that if an employer controls the manner and means by which the work is done, as opposed simply to the end result, the worker is likely an employee, no matter what characterization the parties use. Also, some workers who in fact meet the IRS test of independent contractors are still considered employees for state unemployment and worker compensation payroll taxes.
State and federal tax authorities routinely audit employers for compliance, assessing back taxes and penalties for noncompliance. In addition, if an independent contractor is injured on the premises, the employer may be liable for the injuries, whereas most employee injuries are covered by worker's compensation. Therefore it pays to be sure that workers treated as independent contractors really are.
Unpaid interns and trainees
Well publicized lawsuits are being filed by unpaid interns claiming protection under the wage and hour laws as employees. As a matter of fact, it is very difficult for a private-sector employer to legally have unpaid workers, whether they are called interns or trainees, although many employers do not understand this. The U.S. Department of Labor has very stringent requirements for unpaid interns/trainees. The result is that if a person is doing work for a private employer, he or she is probably an employee who must be paid at least minimum wage and overtime pay and who may also be entitled to participate in the employer's benefit plans.
Off-the-clock work
Employees must be paid for all time worked, even if it is before they clock in or after they clock out. Common types of off-the-clock work include:
- Call center employees logging into their computers, getting ready to answer calls;
- New hire orientation and training;
- Changing into and out of work clothes or uniforms;
- Standing by for work; and
- Tidying up after closing.
Depending on the circumstances each of these activities may constitute work that must be paid for, perhaps at overtime rates.
Employees must be paid for overtime work even if they did not get permission to work it, so long as the employer knew of the work or was on "notice" of it. The fact that the employee violated instructions not to work overtime may not be a defense.
Finally, if employees are working off-the-clock, the employer has an additional problem: it's not complying with its record keeping obligations. The absence of accurate records makes it much easier for employees to pursue wage claims.
Meal and rest breaks
Many states have stringent requirements for meal and rest breaks. Some have penalties for noncompliance; others simply require additional pay if the breaks are not taken. When employees are scheduled to work full time, the pay for missed breaks may be at overtime rates.
Seating requirements
Some states require employers to provide suitable seating for employees. In those states, additional seating may be required for the holidays due to increased staffing.
Costs of uniforms
If employees are required to wear special clothing, there are at least two potential ramifications. Under federal law, if employees are required to pay for and maintain special clothing, the cost may be considered a reduction of their wages — which may result in minimum wage violations. Some states make employers pay for and maintain special clothing at no cost to the employee.
Workplace safety
Workplace safety laws protect all employees. Some state laws require safety orientation and training before newly hired employees are assigned to work. Failing to do that exposes the employer to citations and penalties — especially if a new employee is injured due to lack of training. All employees are protected by safety and health laws dealing with exposure to hazardous chemicals, and these laws apply even to ordinary household chemicals if the employee has a greater exposure to them than he or she would have at home.
Overtime exemptions
Misclassifying employees as exempt from overtime pay is a widespread problem due, in large part, to common misconceptions. For example, just because someone is paid a salary does not mean that he or she is exempt. Also, outside sales people may be exempt from overtime requirements, but merchandisers typically are not. Similarly, although some retail commissioned sales people may be exempt, most inside sales employees are not.
The wage-hour laws of some states are far more demanding than federal laws. For example, in California store managers and assistant store managers are not exempt if they spend more than 50% of their time on non-exempt work. During the holiday season, it's pretty easy to exceed that threshold.
The bottom line
The wage-hour laws are not suspended during the holiday season. If an employer has any questions about them, it's good to ask for advice — in advance.
Bruce M. Cross is a partner in the Labor & Employment practice of law firm Perkins Coie LLP, in the Seattle office. He has extensive experience representing companies throughout the country, including those in the retail sector, on a variety of labor and employment issues. Cross can be reached at [email protected].